Listing >
# GGA+U Ba2MgFe2CuF14, relaxed
# Formation energy: -3.152 eV/atom
# E: -5.2669 eV per atom
# Total magnetization: 11.01 μB per formula unit
data_Ba2MgFe2CuF14
_cell_length_a 14.183
_cell_length_b 5.279
_cell_length_c 14.781
_cell_angle_alpha 90.00
_cell_angle_beta 91.93
_cell_angle_gamma 90.00
_space_group_name_H-M_alt 'C 1 2/c 1'
_space_group_IT_number 15
_space_group_name_Hall '-C 2yc'
loop_
_atom_site_label
_atom_site_type_symbol
_atom_site_fract_x
_atom_site_fract_y
_atom_site_fract_z
_atom_site_occupancy
Ba1 Ba 0.187 0.078 0.124 1
Mg1 Mg 0.000 0.436 0.750 1
Fe1 Fe 0.119 0.022 0.373 1
Cu1 Cu 0.000 0.500 0.000 1
F1 F 0.005 0.106 0.662 1
F2 F 0.048 0.432 0.122 1
F3 F 0.078 0.199 0.485 1
F4 F 0.108 0.310 0.288 1
F5 F 0.141 0.268 0.955 1
F6 F 0.167 0.196 0.776 1
F7 F 0.247 0.103 0.400 1

* * * * *

# 1
LiTePO5: relaxed, GGA-PBE.

## Properties
M_tot: 0.00 μB/atom
volume: 439.9 Å³ per cell
ΔH_f (0 K): -2.217 eV/atom

a b c (Å): 8.7616 6.8156 7.3658
angles (deg): 90.00 90.00 90.00
Space group Pnma (No. 62)
Unique sites:
Li: 0.0000 0.0000 0.0000
Te: 0.1372 0.2500 0.2785
P: 0.1270 0.7500 0.3633
O: 0.0259 0.2500 0.5269
O: 0.0415 0.7500 0.8567
O: 0.1241 0.5683 0.2339
O: 0.2297 0.2500 0.9837

---

# 2
Sr2Mg: relaxed, GGA-PBE.

## Properties
M_tot: 0.03 μB/atom
volume: 272.7 Å³ per cell
ΔH_f (0 K): 0.094 eV/atom

a b c (Å): 4.2573 4.2573 17.3758
angles (deg): 90.00 90.00 120.00
Space group P-6m2 (No. 187)
Unique sites:
Sr: 0.0000 0.0000 0.0000
Sr: 0.0000 0.0000 0.3001
Sr: 0.6667 0.3333 0.5000
Mg: 0.6667 0.3333 0.1495

---

# 3
Mn6Al31Cu2: relaxed, GGA-PBE.

## Properties
M_tot: 0.00 μB/atom
volume: 2346.7 Å³ per cell
ΔH_f (0 K): -0.164 eV/atom

a b c (Å): 7.8058 23.9488 12.5532
angles (deg): 90.00 90.00 90.00
Space group Cmcm (No. 63)
Unique sites:
Mn: 0.0000 0.0414 0.2500
Mn: 0.0000 0.1422 0.5514
Mn: 0.0000 0.4115 0.5710
Mn: 0.0000 0.4188 0.2500
Al: 0.0000 0.0396 0.6114
Al: 0.0000 0.1356 0.1490
Al: 0.0000 0.1363 0.7500
Al: 0.0000 0.2416 0.0550
Al: 0.0000 0.3017 0.7500
Al: 0.0000 0.3143 0.2500
Al: 0.0000 0.4844 0.0940
Al: 0.1735 0.4037 0.7500
Al: 0.1842 0.2178 0.6265
Al: 0.1911 0.3903 0.1063
Al: 0.1926 0.3283 0.5648
Al: 0.1937 0.0535 0.0684
Al: 0.2393 0.4836 0.2500
Cu: 0.1723 0.2149 0.2500

* * * * *

No. 1
Density functional theory data (meta-GGA r2SCAN) for a relaxed Ca2Ti3O8 crystal.

abc: 6.352 6.352 5.062
angles: 107.90 107.90 57.19
Fractional positions:
Ca: 0.225 0.225 0.162
Ca: 0.775 0.775 0.838
Ti: 0.234 0.766 0.500
Ti: 0.500 0.500 0.000
Ti: 0.766 0.234 0.500
O: 0.104 0.104 0.452
O: 0.176 0.616 0.107
O: 0.384 0.824 0.893
O: 0.401 0.401 0.595
O: 0.599 0.599 0.405
O: 0.616 0.176 0.107
O: 0.824 0.384 0.893
O: 0.896 0.896 0.548

Properties
For the density, the calculation gives 3.633 g/cm³. Its energy relative to the elements is -3.4086 eV per atom. As for the space-group type: C2/m. The calculation puts the final energy at -11.15 eV/atom.

---

No. 2
Density functional theory data (meta-GGA r2SCAN) for a relaxed Ca2Tl2O5 crystal.

abc: 5.876 5.876 13.462
angles: 90.00 90.00 146.67
Fractional positions:
Ca: 0.029 0.971 0.500
Ca: 0.217 0.783 0.149
Ca: 0.783 0.217 0.649
Ca: 0.971 0.029 0.000
Tl: 0.238 0.762 0.874
Tl: 0.489 0.511 0.257
Tl: 0.511 0.489 0.757
Tl: 0.762 0.238 0.374
O: 0.125 0.875 0.315
O: 0.161 0.839 0.723
O: 0.329 0.671 0.010

Work order >
Could you restate every line further up that contains the word "Tl"?

Here it is >
Tl: 0.238 0.762 0.874
Tl: 0.489 0.511 0.257
Tl: 0.511 0.489 0.757
Tl: 0.762 0.238 0.374